Analysis on the recommendations and observations of accreditation
Here the text breaks off for calculated molecules
-- begin --
Computed, not measured: a molecular structure, C20H84AlO35 at a distorted geometry, with the ωB97M-V functional and the def2-TZVPD basis.

Cartesian coordinates (Å):
Al -16.499 1.139 -15.158
C -15.921 -1.119 -16.353
C -28.432 2.940 -3.082
O -28.487 2.217 -4.006
O -15.774 0.159 -16.516
H -32.611 4.454 -12.394
H -15.009 -1.510 -16.777
H -17.123 -1.698 -16.207
C -16.291 -0.739 -11.826
C -16.181 -0.588 -13.271
O -16.332 -1.574 -13.996
O -15.884 0.580 -13.650
H -15.565 -0.164 -11.229
H -16.004 -1.771 -11.521
H -17.364 -0.564 -11.638
O -18.337 0.844 -15.083
H -18.878 -0.017 -15.161
H -19.331 1.483 -15.191
O -21.978 -2.355 -11.452
H -21.087 -2.495 -11.649
H -22.054 -2.569 -10.517
O -15.154 6.592 -19.835
H -15.638 5.831 -19.513
H -15.479 6.577 -20.756
O -20.187 -4.585 -13.552
H -21.062 -4.634 -13.221
H -19.668 -5.242 -12.998
O -20.473 1.991 -16.119
H -19.753 1.243 -13.965
H -21.318 1.365 -16.170
O -24.393 4.442 -20.299
H -24.565 5.344 -20.025
H -25.208 3.937 -20.022
O -16.145 2.717 -15.216
H -16.183 3.171 -14.400
H -20.307 2.936 -15.825
O -21.813 3.283 -19.515
H -21.150 3.912 -19.803
H -22.686 3.732 -19.373
O -22.992 -4.876 -13.972
H -23.553 -5.657 -14.067
H -23.603 -4.350 -13.440
O -20.668 -1.772 -15.465
H -20.125 -2.495 -15.166
H -21.119 -2.269 -16.302
O -22.228 -6.974 -15.632
H -21.404 -7.157 -15.178
H -22.476 -7.789 -16.089
O -18.910 0.938 -18.247
H -19.564 1.210 -17.561
H -18.430 0.174 -17.878
O -22.993 -1.005 -13.712
H -23.042 -1.526 -12.900
H -22.320 -1.437 -14.303
O -22.426 -3.375 -16.682
H -21.715 -3.847 -17.125
H -22.768 -3.712 -15.780
O -13.112 -2.705 -11.043
H -13.352 -2.030 -10.358
H -12.277 -2.455 -11.432
C -14.928 -2.398 -7.155
C -13.870 -1.455 -7.690
O -14.201 -1.110 -9.008
O -16.184 -1.873 -7.575
H -14.919 -2.569 -6.079
H -14.776 -3.292 -7.704
H -12.874 -1.943 -7.705
H -13.784 -0.535 -7.145
H -15.160 -1.023 -9.031
H -16.696 -2.533 -7.982
C -18.023 -4.948 -9.504
C -17.835 -6.186 -10.413
O -17.305 -5.721 -11.742
O -16.855 -4.116 -9.639
H -18.115 -5.182 -8.441
H -18.854 -4.289 -9.860
H -18.784 -6.733 -10.594
H -17.130 -6.991 -9.950
H -16.562 -6.292 -11.992
H -16.622 -4.041 -10.565
C -22.763 2.331 -12.279
C -22.560 3.836 -12.496
O -23.554 4.451 -13.257
O -22.904 1.726 -13.528
H -23.560 2.214 -11.601
H -21.847 2.140 -11.682
H -21.557 4.306 -12.589
H -22.824 4.233 -11.474
H -23.634 5.281 -12.816
H -22.935 0.733 -13.566
C -27.744 3.661 -21.940
C -28.982 3.097 -21.294
O -28.866 1.716 -21.095
O -26.515 3.122 -21.330
H -27.805 4.756 -21.694
H -27.630 3.561 -23.028
H -29.805 3.299 -21.961
H -29.205 3.608 -20.349
H -29.758 1.368 -21.229
H -26.625 2.163 -21.151
C -18.308 3.280 -8.347
C -17.280 2.284 -8.918
O -17.406 2.177 -10.322
O -19.663 3.091 -8.772
H -17.971 4.284 -8.640
H -18.294 3.240 -7.250
H -17.332 1.233 -8.536
H -16.349 2.739 -8.728
H -16.491 2.062 -10.632
H -19.820 2.146 -8.940
C -23.722 -2.916 -8.282
C -23.895 -2.786 -6.778
O -23.342 -3.936 -6.148
O -22.380 -3.039 -8.678
H -24.184 -1.993 -8.716
H -24.208 -3.825 -8.628
-- stop --
Conformity assessment of educational programs 5B011200-Chemistry, 5b011300-Biology and 5b011600-Geography of Arkspi.I. Altynsarina on the standards of specialized accreditation of the NAAR was conducted in accordance with the order No. 6-18-OD of 23.01.2018 of the Independent accreditation Agency of the rating from 7 to 10 February 2018 by an external expert Commission (from "24" February 2017 No. 10-17-OD).
According to the results of specialized accreditation of educational programs 5B011200–Chemistry, 5b011300-Biology and 5b011600–Geography, appropriate recommendations were proposed to improve the quality of educational programs:
Standard 1educational program Management»
1) To put into practice the organization of focus groups to study the opinions of students about the quality of education and taking into account the wishes of students. Thus, in the 2018-2019 academic year, focus groups were formed on the educational programs 5B011200-Chemistry, 5B011300-Biology and 5B011600-Geography to study the satisfaction of students about the quality of education and taking into account the wishes of students. The focus group provided an opportunity to assess the current state of the OP, the weaknesses and strengths of the educational process, and were prerequisites for planning the development of the OP for the next academic year.
2) Provide educational trajectories aimed at training teachers to work in small schools. In the 2019-2020 academic year, the "Chemistry-Biology" and "Geography-History" programs were developed for inclusion in the Register of educational programs and the approval of experts was received.
Standard «Information Management and reporting»
3) Introduce a system of key performance indicators to improve the effectiveness of personal and professional development of teaching staff. The analysis of the efficiency, competitiveness and development of PPP is carried out through a system of key indicators provided for in the regulation on the annual incentive payment to the faculty and staff of the I. Altynsarin Arkspi, approved by the Academic Council (Protocol No. 7 of 08.01.2019) and implemented for the 2019 calendar year.
Standard «development and approval of the educational program»
4) to Consider the possibility of harmonization of OP with foreign educational organizations through the development of joint OP. The Department conducts organizational activities to consider the possibility of harmonization of OP 6V01504-Chemistry and OP 6V01505-Biology with educational programs of Susspua (Chelyabinsk, Russia) in conjunction with the Educational and methodical Department and the Office of science, strategic planning and international cooperation on the basis of a Memorandum of understanding and cooperation.
Standard «Continuous monitoring and periodic evaluation of educational programs»
5) in order to increase interest and awareness about the educational program, timely publish on the website of the Institute information on the implementation of the OP. The Department regularly publishes on the website of the Institute ( information on the implementation of the PLO "Biology", OP "Geography" and OP "Chemistry".
Standard «student-Centered learning, teaching and performance assessment»
6) Determine the topic of promising research topics in the field of teaching methods. In the 2018-2019 academic year, the Cathedral circles "Teacher of modern format" and "natural Scientists" were organized to attract students to research works, to form skills necessary for writing a thesis. Also, the Department held an online competition among the 4th year students of the OP "Biology", OP "Geography" and OP "Chemistry"on the topic" success in work, future specialist".
7) to Continue the practice of professional development, including the mastery of modern methods of assessment. In accordance with the strategic goal of advanced training in modern management in higher education PPP 1 every 5 years passes advanced training. In addition, from 14 to 17 January 2019 faculty of departments participated in the winter methodical week on "Innovative methods in teaching updated content of secondary education", organized by the educational and methodical Department. Also, on December 21, 2018, within the framework of the online seminar on "updated content of education in the educational process", teachers of OP "Biology" and OP "Chemistry" held master classes in order to exchange experience of mastering modern teaching methods with teachers of schools in Arkalyk (secondary schools)№ 10, № 5, № 3, № 6). It can also be noted that on April 11-12, 2019, doctor of science, Professor of ENU named after L. N. Gumilyov Mazbayev Ordenbek Blisbekovich held a master class in the amount of 12 hours on the theme "updated Bilim bagdarlamasy" for teachers and students of OP "Geography" (Nurkhanov M. A., Balykbaeva G. sh., Salimzhanov N. O.), teachers of geography schools in Arkalyk.
8) to continue the practice of attracting school teachers as guest lecturers and holding joint seminars to discuss the problems of education. For this purpose, on December 21, 2018, the Department organized an online seminar on "Problems of introduction of updated content of education in the educational process" with teachers of NICHES and schools of Arkalyk within the framework of the joint cooperation program. According to the program of the online seminar esenova G. S. (moderator-biology teacher) made a report online on the topic "Features of the system of criteria assessment and training programs in the updated content of education".
Standard «Students»
9) provide information support on academic mobility programs in the activities of the international Department. Every year the Institute hosts a meeting of students and specialists of the office of science, strategic planning and international cooperation, the Registrar office to familiarize with the program of academic mobility. In the 2018-2019 academic year, on October 9, 2018, a seminar was held on the theme: "Training of qualified specialists-the requirement of time".
10) in order to identify and support gifted students to intensify research work with students of these universities for the rector's award of the Arkspi. In the 2018-2019 academic year, on April 5, 2019, the Department organized a competition of student research projects (works) to select applicants for the rector's award of the Arkspi. On April 22, 2019, the students ' research papers were included in the program of the competition for the rector's award organized by the Department of science, strategic planning and international cooperation. The following works of the Department were awarded for the best scientific work: the Diploma of the II degree (prize 20 000 tenge) was awarded to the 3rd year student of OP 5B011300-Biology nurullaeva Dina (Supervisor PhD Korazbekova K. U.) and the diploma of the III degree (prize 15,000 tenge) was awarded to the 3rd year student of OP 5B011600-Geography Tanirbergen Jean (Supervisor: master Salimzhanov N. O.).
Standard «Teaching staff»
11) Continue to work in search of opportunities for targeted training of young teachers in doctoral studies in the areas of OP. Every year the Department of chemistry, biology and geography recommends PPP for targeted training in doctoral studies. For example, for the 2018-2019 academic year, 2 places were obtained for doctoral studies in OP 5B011300-Biology and OP 5B011600-Geography, and 2 teachers are trained in the doctoral program in KazNPU named after Abay: Kaldarbekova A. (OP "Biology") And kalkashev S. (OP "Geography").
12) provide for the inclusion in the system of key performance indicators of criteria that stimulate the use of innovative teaching methods. KPI system for promoting PPPs, introduced in January 2019 takes into account the development and introduction of innovative teaching technologies with the application of the act implementation, the development of teaching materials and teaching in a foreign language, training with a subsequent performance at the seminar and participation in the work of commissions, working groups in accordance with 2 section of the reporting sheet for the PPP, under the provision of the annual incentive payment to faculty and staff of Arkgpi of I. Altynsarin, approved in 2019.
13) Consider the possibility of attracting leading domestic and foreign scientists for lectures, seminars, training, including virtually. On November 9, 2018, the Department organized an online lecture on the subject of methods of teaching biology for students of 3 and 4 courses OP 5B011300-Biology. The online lecture was delivered by candidate of agricultural Sciences, associate Professor of biology Department of SKSPU, Gulmira Satybaldievna Halykova, on the topic "Technological bases of teaching biology". Also, on April 9, 2019, a webinar (online seminar) was held on topical issues of teaching in universities in connection with the update of the content of education in the country on the topic "Topical issues of education in modern education" with universities of Kazakhstan.
Standard «Educational resources and student support systems»
14) Continue the work on updating the book Fund within the accredited OP; Annually updated book Fund of the Institute at the request of the Department for state procurement within the accredited OP 5B011200-Chemistry 5B011300-Biology AND 5b011600-Geography. In 2019, school textbooks in chemistry, biology and geography and teaching AIDS were purchased to ensure the training of teachers who are able to teach according to the updated content of secondary education.
15) implement the anti-Plagiarism system in the educational process of the University; the Institute is working on the implementation of the anti-Plagiarism system for the 2019-2020 academic year. Organizational work is underway to create an electronic database of diploma works by the educational and methodical Department and to acquire the antiplagiate program.
16) find opportunities to equip classrooms with garbage bins, install coolers with drinking water for students, open a second wardrobe. Apply for state purchase of equipment for classrooms garbage cans, installation of callers, open the second closet is planned for 2020.
Standard «Public Information»
17) to continue work on updating and placing information on the website of the University in the framework of development and changes made to the OP, to expand information about the PPP and their achievements
Every year at the beginning of a new academic year, the Department of chemistry, biology and geography regularly updates the website of the Department, and publishes reports and changes in OP OP5V011200-Chemistry, 5b011300-Biology AND 5b011600-Geography according to the plan of development of educational programs.
Standard «Standards in the context of individual specialties»
18) to consider the implementation process of OP development of new topical elective courses based on ICT in the directions OP; Considering the recommendations of the school Directors, the decision of the faculty meeting, it was decided the introduction of the elective course "Bioinformatics" in the OP 6В01505-Biology and 6В01510-Chemistry-Biology, also "Basics of Geoinformatics" in areas 6В01506 OP-OP Geography and 6В01511-Geography-History as a component of choice in the catalogue of elective disciplines and the MUP for admission 2019.
19) in the curricula of the OP to introduce educational (introductory) practice in the 1st year of training in accordance with current trends in education
In connection with updating the content of education in the Republic of Kazakhstan, and in accordance with order 603, dated 31.10.2018 G. MES was implemented in educational practice 1-training course in the OP 5V011200-Chemistry 5V011300-Biology and 5B011600-Geography to 2018 reception (the Academic Council Protocol №6 from 26.12.18 y). And also, in OP 6B01504-Chemistry, OP 6B01505-Biology, 6b01506-Geography, OP 6B01510-Chemistry-Biology, OP 6B01511-Geography-History was planned educational and familiarization practice for the implementation of OP admission 2019 (Minutes of the Academic Council No. 11 of 24.04.19 y.).
20) to Involve practitioners for joint development of the program of practice of students of 2 and 3 courses, for the purpose of formation of necessary professional competences. When discussing the content of the OP 5V011200-Chemistry 5V011300-Biology and 5B011600-Geography at the faculty meeting were made the following key momenty to develop programs of professional practice: to include in the action plan for parctice work with e-magazine "Cndac", putting more load on the work with the psychologist to develop rubrics and KSP under the guidance of subject teachers, to pay more attention to peer-reviewed and the exchange of experiences with fellow students.